As we enter the crazy-busy summer farm season, it’s so easy to just focus on getting something done that we jump in without strategic planning. We see that row of tomato plants, weighed down with ruby gems, and start harvesting like mad. But if you pick with a plan, taking the time to understand and think through what you want to accomplish, you will harvest a triple-win in the field: better-quality produce, improved use of your time and less stress on yourself.
“If you’re looking to move from home gardener to a legitimate farm business selling at a local farmers’ market, the harvest process is especially something to take seriously and approach professionally,” says Atina Diffley, a national expert on organic farming and author of Turn Here Sweet Corn: Organic Farming Works (University of Minnesota Press, 2012). “Don’t underestimate the importance of understanding the harvesting process. You can grow the most beautiful salad greens, but if you can’t harvest them in a way that ensures your customers enjoy them fresh and safely in their home kitchens, your business won’t succeed long-term.”
Harvesting and related food-safety procedures need to be an integral part of your farm plan, and one that you’re always improving on. Here are some tips and perspectives to get you started.
1. Develop a Harvest Schedule
“Think before you pick anything and determine what types of produce need to be picked at certain times of the day and plan accordingly,” recommends Diffley, who also serves as co-author and lead trainer behind “Wholesale Success: A Farmer’s Guide to Food Safety, Selling, Postharvest Handling, and Packing Produce,” a resource developed by FamilyFarmed.org to support farmers in the harvesting process. “Deciding what to harvest when is determined by each crop’s respiration rate. Respiration refers to the amount of carbon dioxide the crop gives off and how fast the sugars and starches break down and cause water and heat loss.”
Crops with high respiration rates break down quickly and need to be harvested and cooled first, as they are most vulnerable. For example, broccoli, asparagus and sweet corn have high respiration rates and should be harvested early in the day, while otatoes, watermelons, tomatoes and peppers have low respiration rates and can readily be harvested later. Wholesale Success offers a chart of different produce’s respiration rates to help guide your harvest plan.
“Planting a diversity of produce and a mix of crops helps support a manageable harvest plan as you can spread out your work based on these respiration rates,” Diffley adds. “Remember not everything needs to come in at once.”
== Here the piece breaks off for data records ==
Formula: C28H22AlClN4OSe2
Source: the Open Molecules 2025 dataset
Level of theory: the ωB97M-V functional and the def2-TZVPD basis

Summary:
- LUMO level: -0.24285 Ha
- Total energy: -6879.59069 hartree
- Molar mass: 650.866 g mol⁻¹
- F_max: 0.360 eV/Å
- Relative energy (zero: lowest compared OMol25 entry of this formula, charge and spin): 0.000 eV
- Net charge: +2

Geometry as XYZ:
```
59
Properties=species:S:1:pos:R:3:forces:R:3:lowdin_charge:R:1
Al -0.233997 0.514904 0.688950 -0.2343 -0.0512 0.1885 0.094
Se 2.166623 -1.302909 2.018831 -0.0420 0.0065 0.0571 0.802
Se 1.938106 0.573771 3.377667 0.0567 -0.0158 -0.0395 0.796
C 0.042272 0.468570 3.657588 -0.0232 -0.0145 0.0468 -0.614
C -0.442976 0.414892 4.950680 -0.0455 0.0104 -0.0134 -0.053
C -1.816473 0.367880 5.151324 0.0221 0.0022 0.0261 0.009
C -2.661615 0.354535 4.053523 0.0074 0.0007 -0.0690 0.006
C -2.105760 0.401300 2.792056 -0.0680 0.0267 0.0495 -0.051
N -0.777701 0.475978 2.592844 0.0937 0.0008 -0.0614 0.002
C 2.477536 -0.389515 0.360469 0.0524 -0.0120 0.0261 -0.607
C 3.635888 -0.641337 -0.347205 0.0049 0.0212 -0.0361 -0.052
C 3.851680 0.030707 -1.543894 0.0084 -0.0107 -0.0015 0.012
C 2.915090 0.952846 -1.983290 -0.0448 0.0076 0.0164 0.006
C 1.778823 1.150251 -1.227568 0.0314 -0.0216 -0.0221 -0.043
N 1.550054 0.478232 -0.084139 0.0771 0.0401 -0.0228 0.007
H 0.244953 0.394752 5.783900 0.0049 -0.0009 -0.0021 0.121
H -2.217161 0.325230 6.155397 0.0013 0.0015 0.0013 0.135
H -3.735022 0.305343 4.163290 -0.0015 -0.0033 0.0103 0.131
H -2.724484 0.387952 1.902453 0.0023 -0.0022 -0.0074 0.129
H 4.367137 -1.334378 0.044015 -0.0047 0.0008 0.0124 0.122
H 4.752745 -0.152054 -2.114207 0.0042 0.0026 0.0021 0.136
H 3.053222 1.511262 -2.897436 0.0070 -0.0069 -0.0056 0.131
H 1.013060 1.847428 -1.539881 0.0001 0.0081 -0.0015 0.125
O -1.552431 0.038492 -0.464356 -0.1336 -0.0899 0.0222 -0.016
C -1.065868 -1.103496 0.010592 0.3260 0.1477 -0.0344 -0.183
C 0.452840 -5.676169 1.091940 -0.0078 0.0054 0.0011 -0.058
C 1.154810 -4.722680 0.368616 0.0156 0.0068 -0.0031 -0.070
C 0.500178 -3.597772 -0.115660 0.0345 -0.0284 -0.0034 -0.057
C -0.851248 -3.439482 0.140416 -0.1147 0.0565 0.0203 -0.226
C -1.568575 -4.391574 0.844981 0.0458 -0.0342 0.0005 0.004
C -0.907157 -5.512501 1.323425 -0.0071 -0.0071 0.0040 -0.047
N -1.535513 -2.265199 -0.350569 -0.0699 0.0167 -0.0796 0.044
C -2.644882 -2.446421 -1.263924 0.0705 -0.0599 -0.0115 -0.196
C -2.494611 -3.346399 -2.308081 -0.0306 0.0286 -0.0291 -0.001
C -3.549546 -3.546892 -3.184541 0.0165 -0.0011 0.0162 -0.050
C -4.740752 -2.855759 -3.011092 0.0230 -0.0125 -0.0041 -0.059
C -4.878656 -1.964109 -1.957200 -0.0191 0.0111 0.0048 -0.056
C -3.829397 -1.755210 -1.074637 -0.0562 -0.0033 -0.0088 -0.017
H 0.960699 -6.556784 1.460340 0.0013 -0.0050 0.0002 0.116
H 2.206932 -4.867563 0.160282 0.0027 -0.0034 -0.0010 0.113
H 1.020339 -2.862007 -0.718753 -0.0097 -0.0038 -0.0073 0.112
H -2.631187 -4.261021 1.005230 -0.0038 0.0056 0.0049 0.129

2. Cool Quickly
Cool your harvest to the appropriate temperature to ensure optimum shelf life. This can be done through various methods, including chilling in cold water (aka hydrocooling).
“Don’t assume that all produce needs to cool to 32 degrees,” Diffley says. “Some crops are chill-sensitive and shouldn’t reach that cold a temperature. Cucumbers, for example, should be kept at 50 to 55 degrees.”
If you over-chill a crop, the damage might not show up until a few days later, once your customer uses that item in his or her home, quickly earning you a bad reputation at the farmers’ market. On the Minnesota Institute of Sustainable Agriculture website, you can find several free downloadable chapters of the Wholesale Success guide, including the chapter on “Cooling and Curing” with more detail on this topic.
3. Find Shade
“Get your harvest out of the sun and in the shade as quickly as possible,” says Harriet Behar, organic specialist with the Midwest Organic and Sustainable Education Service. “This can be a challenge when you’re out in the field, but remember shade is good for both your crop quality and your own health, too.”
One way to create shade is by building a mobile shade structure that you can use in the field. Sandhill Family Farms in Grayslake, Ill., and Brodhead, Wis., rigged up several shade structures that they navigate directly into the field for harvest.
### Unrelated to this text: calculated molecules
Computed, not measured: a cluster of 12 separate species, C38H65N8O18S3 in total in a non-equilibrium geometry, with wB97M-V/def2-TZVPD.

Each line ends with the Löwdin charge.
Atoms and positions in Å:
C -2.902 6.589 -9.272  -0.320
O -2.824 5.716 -8.124  -0.234
C -1.509 5.725 -7.555  -0.239
C -1.454 4.526 -6.517  -0.092
N -2.648 4.568 -5.589  0.059
H -2.541 5.344 -4.952  0.175
H -3.467 4.801 -6.133  0.131
C -2.965 3.242 -4.839  -0.036
C -3.696 2.217 -5.821  -0.262
O -4.838 2.838 -6.348  -0.177
C -5.329 2.087 -7.425  -0.300
H -2.429 7.547 -9.060  0.062
H -3.928 6.801 -9.571  0.049
H -2.447 6.158 -10.165  0.040
H -1.161 6.672 -7.143  0.116
H -0.794 5.649 -8.374  0.093
H -0.658 4.559 -5.773  0.136
H -1.469 3.564 -7.030  0.095
H -3.512 3.564 -3.953  0.131
H -2.055 2.856 -4.380  0.126
H -3.991 1.310 -5.294  0.107
H -3.014 1.852 -6.589  0.086
H -5.058 2.476 -8.406  0.044
H -6.412 1.979 -7.482  0.070
H -5.028 1.047 -7.552  0.053
C -0.395 -1.839 -0.793  -0.148
O -0.783 -0.656 -0.215  -0.207
C -1.118 -0.684 1.202  -0.143
C 0.131 -0.847 2.069  -0.041
N 1.104 0.402 2.119  0.112
H 0.552 1.243 2.025  0.178
H 1.639 0.384 2.975  0.179
C 2.113 0.650 1.021  -0.069
C 3.239 -0.342 1.055  -0.183
O 2.718 -1.621 0.702  -0.183
C 3.737 -2.408 0.210  -0.155
H -0.605 -2.790 -0.305  0.098
H 0.642 -1.562 -0.986  0.078
H -0.848 -1.832 -1.784  0.075
H -1.854 -1.430 1.500  0.135
H -1.530 0.299 1.432  0.139
H 0.658 -1.798 1.991  0.123
H -0.245 -0.718 3.084  0.145
H 2.479 1.661 1.201  0.151
H 1.394 0.742 0.207  0.138
H 3.728 -0.497 2.017  0.141
H 4.129 -0.052 0.497  0.127
H 4.158 -2.129 -0.756  0.085
H 3.309 -3.390 0.011  0.091
H 4.642 -2.623 0.778  0.091
S -3.035 4.440 5.027  0.057
O -3.951 5.342 4.366  -0.305
O -2.605 4.824 6.323  -0.346
O -3.540 3.091 5.016  -0.386
O -1.989 4.606 4.068  -0.251
S 2.513 0.482 8.024  0.081
O 1.387 -0.335 7.559  -0.467
O 3.581 -0.385 8.542  -0.513
O 3.030 1.299 6.916  -0.495
O 1.933 1.438 8.998  -0.461
S 0.440 6.526 -0.726  0.020
O -0.599 5.575 -0.439  -0.388
O 0.172 7.126 -1.975  -0.432
O 0.061 7.362 0.390  -0.373
O 1.812 6.007 -0.553  -0.466
C -2.739 -4.956 5.711  -0.067
C -3.408 -4.906 7.130  -0.786
O -4.098 -3.879 7.401  -0.122
O -3.097 -5.835 7.921  -0.148
H -1.719 -4.573 5.747  0.056
H -3.348 -4.398 5.000  0.037
H -2.813 -5.995 5.390  0.032
N 5.162 -3.689 5.716  0.032
C 4.361 -4.537 5.088  -0.135
C 5.154 -5.530 4.531  -0.144
C 6.465 -5.290 4.906  -0.163
C 6.472 -4.112 5.618  -0.144
H 4.912 -2.935 6.340  0.169
H 3.311 -4.329 5.232  0.126
H 4.832 -6.344 3.899  0.077
H 7.342 -5.876 4.675  0.076
H 7.229 -3.686 6.260  0.098
N -7.123 -5.548 -2.726  0.000
C -6.190 -4.570 -3.032  -0.118
C -5.926 -4.770 -4.368  -0.188
C -6.566 -5.875 -4.857  -0.159
C -7.300 -6.390 -3.834  -0.149
H -7.564 -5.591 -1.818  0.139
H -5.939 -3.791 -2.327  0.110
H -5.224 -4.117 -4.865  0.074
H -6.467 -6.235 -5.870  0.089
H -7.807 -7.333 -3.698  0.092
N 5.851 8.131 1.697  0.020
C 5.638 8.785 2.881  -0.142
C 6.795 9.323 3.371  -0.118
C 7.740 8.962 2.389  -0.164
### End of the calculated molecules
“We used an old snowmobile trailer and transformed it into what we call our ‘harvest wagon,’ building a canopy frame over the top which we enclose with a heavy grade tarp,” says Peg Sheaffer, co-owner of Sandhill Family Farms. “This works really well to provide shade in the field while harvesting. We also use a golf cart that already has a canopy on top. We can drive this directly into the field to harvest lighter crops, like greens.”
Next to the page, the page also holds quantum chemistry results:
No. 1
ORCA calculation (ωB97M-V with the def2-TZVPD basis set) on a molecular structure, C15H38BNO15.

Structure (XYZ):
```
70
Properties=species:S:1:pos:R:3:nbo_charge:R:1
C -3.414 0.913 4.729 -0.611
C -3.671 1.559 3.395 -0.427
C -3.201 0.692 2.207 -0.423
C -3.551 1.239 0.821 -0.218
N -3.068 0.332 -0.334 -0.230
C -3.912 -0.885 -0.388 -0.233
C -2.929 -2.144 -0.579 -0.412
C -1.710 -1.739 0.172 -0.413
C -1.667 -0.198 -0.195 -0.278
C -3.299 1.081 -1.550 -0.207
C -2.465 2.252 -1.812 -0.426
C -3.177 3.103 -2.870 -0.575
H -3.669 -0.138 4.433 0.207
H -4.092 1.257 5.638 0.235
H -2.306 1.095 4.976 0.225
H -3.176 2.366 3.152 0.196
H -4.550 2.049 3.344 0.214
H -3.848 -0.291 2.437 0.205
H -1.985 0.486 2.341 0.236
H -3.094 2.340 0.758 0.246
H -4.655 1.287 0.719 0.226
H -4.493 -1.049 -1.241 0.238
H -4.594 -0.882 0.402 0.225
H -2.718 -2.514 -1.563 0.230
H -3.411 -2.986 -0.100 0.237
H -0.806 -2.334 -0.266 0.265
H -1.799 -2.000 1.168 0.227
H -1.080 -0.066 -1.057 0.244
H -0.865 0.225 0.413 0.268
H -4.411 1.401 -1.578 0.228
H -3.269 0.281 -2.338 0.231
H -1.542 2.076 -2.077 0.221
H -2.345 3.027 -0.925 0.211
H -4.093 3.444 -2.764 0.210
H -3.348 2.696 -3.687 0.198
H -2.613 4.140 -2.969 0.220
O 4.054 -2.190 2.166 -0.573
C 3.400 -1.693 1.202 0.647
O 4.086 -0.982 0.366 -0.593
B 3.042 -0.538 -0.580 1.179
O 1.827 -1.192 -0.121 -0.647
C 2.077 -1.960 0.807 0.680
O 1.446 -2.852 1.074 -0.534
O 3.291 -0.744 -2.011 -0.636
C 3.205 0.325 -2.659 0.675
O 3.209 0.309 -3.837 -0.545
C 3.092 1.381 -1.764 0.651
O 2.856 1.026 -0.577 -0.601
O 3.208 2.613 -2.055 -0.617
O 2.379 2.320 -5.524 -0.976
H 2.649 1.560 -4.901 0.489
H 3.265 2.923 -5.294 0.459
O 1.501 -2.332 -4.075 -0.920
H 1.277 -2.922 -3.444 0.449
H 2.117 -1.806 -3.653 0.468
O 6.453 -4.367 1.571 -0.942
H 6.555 -5.352 1.487 0.471
H 6.298 -4.140 2.444 0.472
O 0.953 -4.635 2.984 -0.965
H 1.209 -3.972 2.312 0.477
H 1.682 -4.916 3.321 0.460
O 5.124 2.636 0.870 -0.933
H 5.000 2.085 0.066 0.465
H 4.294 3.124 0.922 0.469
O 3.424 -4.062 4.272 -0.950
H 3.444 -3.293 5.000 0.467
H 3.687 -3.596 3.553 0.479
O 3.208 5.394 -2.111 -0.958
H 2.257 5.328 -2.487 0.448
H 3.284 4.380 -2.110 0.496
```

Calculated values
HOMO-LUMO gap: 9.4 eV
Total charge: 0
LUMO energy: -0.67 eV
ΔE to the lowest compared entry with this formula, charge and spin: 2.460 eV
Total energy: -49046.112 eV
HOMO energy: -10.0234 eV

No. 2
ORCA calculation (ωB97M-V with the def2-TZVPD basis set) on 5 unconnected molecules or ions with the total composition C15H38BrN9O11P.

Structure (XYZ):
```
75
Properties=species:S:1:pos:R:3:lowdin_charge:R:1
C 3.190 -3.272 -0.162 -0.049
C 2.415 -1.960 -0.226 -0.244
O 1.249 -2.133 -1.026 -0.115
C 0.117 -1.453 -0.574 -0.119
C 0.216 0.081 -0.806 -0.365
O 1.200 0.367 -1.788 0.025
C 0.634 1.014 0.346 -0.142
C -0.132 0.898 1.680 -0.162
O 0.161 -0.312 2.330 -0.118
O 1.327 -0.047 3.138 0.005
N 0.298 2.333 -0.281 0.005
C 0.973 3.647 -0.092 -0.590
Br 1.851 3.717 1.625 0.908
C 1.930 3.909 -1.246 -0.247
C 3.244 3.122 -1.214 -0.095
4. Prioritize Food SafetyBy implementing a harvest plan, you’ve already given thought to food safety, but you can always go a step further.”Bringing fresh, tasty produce to market that is safe is the ultimate priority,” Diffley says.First and foremost, always practice good sanitation by thoroughly washing your hands often, especially before cooling produce in water.”While water can be a great way to cool produce, it must be approached and used with caution, as water can serve as a carrier for various food-borne pathogens, bacteria or a virus that can cause disease,” Diffley says.It’s also important to develop a produce-washing plan that rinses and cleans off soil, where most pathogens imbibe. Diffley recommends adding a sanitizer to the water to help prevent transfer of pathogens from one produce item to another and to reduce the potential risk of produce imbibing food-borne pathogens. Sanidate, produced by Ecolab, is a hydrogen-peroxide-based product approved for certified-organic growers.Developing a harvesting plan that keeps safety in mind is an ongoing process. Take the information you learned here and build on it with resources from extensions and other knowledgeable sources.